Entries:
'''
The following is a computed XRD peak list of YHoCo2B2N2. It was derived from a DFT-relaxed cell (GGA-PBE, OQMD), using CuKα.
Peak positions follow from Bragg's law for the DFT cell and can differ from measured ones.

```
data_YHoCo2B2N2
_chemical_formula_sum 'Y1 Ho1 Co2 B2 N2'
_symmetry_space_group_name_H-M 'P 1'
_symmetry_Int_Tables_number 1
_cell_length_a 3.4711
_cell_length_b 3.4711
_cell_length_c 7.4450
_cell_angle_alpha 90.00
_cell_angle_beta 90.00
_cell_angle_gamma 90.00
loop_
_symmetry_equiv_pos_as_xyz
'x,y,z'
loop_
_atom_site_label
_atom_site_fract_x
_atom_site_fract_y
_atom_site_fract_z
_atom_site_occupancy
Y1 0.0000 0.0000 0.0000 1
Ho1 0.5000 0.5000 0.6638 1
Co1 0.0000 0.5000 0.3324 1
Co2 0.5000 0.0000 0.3324 1
B1 0.0000 0.0000 0.4819 1
B2 0.5000 0.5000 0.1817 1
N1 0.0000 0.0000 0.6844 1
N2 0.5000 0.5000 0.9786 1
```

Most intense lines, 15° ≤ 2θ ≤ 90°, by angle:
index, d_spacing, I_rel
1 0 1, 3.146, 100
1 0 2, 2.539, 71
0 0 3, 2.482, 57
1 1 1, 2.331, 87
1 1 2, 2.049, 64
2 0 0, 1.736, 43
2 1 1, 1.520, 25
1 1 4, 1.483, 22
2 1 2, 1.433, 25
2 0 3, 1.422, 37

* * * * *

Calculated powder XRD pattern
Compound: K2MnCoBr6
Radiation: Cu Kα X-rays
Structure: a DFT-relaxed cell (PBE, Alexandria)

Structure:
```
data_K2MnCoBr6
_chemical_formula_sum 'K6 Mn3 Co3 Br18'
_space_group_name_H-M_alt 'R 3'
_space_group_IT_number 146
_space_group_name_Hall 'R 3'
_cell_length_a 7.4675
_cell_length_b 7.4675
_cell_length_c 17.8691
_cell_angle_alpha 90.00
_cell_angle_beta 90.00
_cell_angle_gamma 120.00
loop_
_atom_site_label
_atom_site_type_symbol
_atom_site_fract_x
_atom_site_fract_y
_atom_site_fract_z
K1 K 0.0000 0.0000 0.0000
K2 K 0.0000 0.0000 0.4982
Mn1 Mn 0.0000 0.0000 0.7500
Co1 Co 0.0000 0.0000 0.2500
Br1 Br 0.0046 0.5611 0.9992
Br2 Br 0.1102 0.3376 0.8346
```

Top 12 peaks for 2θ from 15° to 90°, sorted by position:
Position (°2θ), Rel. int., (hkl)
16.92, 50, 0 1 2
28.21, 48, 1 1 3
29.38, 56, 2 0 2
30.00, 27, 0 0 6
34.23, 100, 0 2 4
37.12, 17, 3 -1 1
38.67, 19, 1 1 6
48.78, 20, 2 2 0
49.60, 33, 2 0 8
51.19, 23, 4 -3 1
57.49, 16, 4 -1 5
63.38, 12, 4 -3 7

* * * * *

1.
Theoretical X-ray diffraction stick pattern
Compound: ReO2F3
Radiation: Cu Ka
Structure: a structure optimized by DFT (GGA-PBE)
Neutral-atom scattering factors, no anomalous dispersion.

The 6 most intense peaks (2θ from 10° to 90°), in order of rising 2θ:
2θ = 15.70°, I = 27; 2θ = 19.09°, I = 71; 2θ = 22.22°, I = 100; 2θ = 22.58°, I = 32; 2θ = 23.51°, I = 65; 2θ = 27.64°, I = 22

Atomic structure:
```
ReO2F3
1.0
5.726 0.000 0.000
0.000 5.098 0.000
-2.172 0.000 12.908
Re O F
4 8 12
Direct
0.176 0.210 0.363
0.176 0.290 0.863
0.824 0.710 0.137
0.824 0.790 0.637
0.244 0.092 0.968
0.244 0.408 0.468
0.331 0.567 0.902
0.331 0.933 0.402
0.669 0.067 0.598
0.669 0.433 0.098
0.756 0.592 0.532
0.756 0.908 0.032
0.039 0.013 0.219
0.039 0.487 0.719
0.122 0.604 0.111
0.122 0.896 0.611
0.385 0.155 0.782
0.385 0.345 0.282
0.615 0.655 0.718
0.615 0.845 0.218
0.878 0.104 0.389
0.878 0.396 0.889
0.961 0.513 0.281
0.961 0.987 0.781
```

=====

2.
Theoretical X-ray diffraction stick pattern
Compound: Re3S4O8F
Radiation: Cu Ka
Structure: a structure optimized by DFT (GGA-PBE)
Neutral-atom scattering factors, no anomalous dispersion.

The 6 most intense peaks (2θ from 10° to 90°), in order of rising 2θ:
2θ = 10.56°, I = 48; 2θ = 10.69°, I = 100; 2θ = 12.08°, I = 31; 2θ = 12.24°, I = 54; 2θ = 26.61°, I = 16; 2θ = 42.92°, I = 15

Atomic structure:
```
Re3S4O8F
1.0
5.491 -7.326 0.000
5.491 7.326 0.000
-3.748 0.000 8.376
Re S O F
6 8 16 2
Direct
0.050 0.210 0.042
0.059 0.059 0.259
0.275 0.067 0.069
0.790 0.950 0.958
0.933 0.725 0.931
0.941 0.941 0.741
0.134 0.820 0.823
0.180 0.866 0.177
0.195 0.176 0.864
0.282 0.289 0.277
0.711 0.718 0.723
0.817 0.135 0.807
0.824 0.805 0.136
0.865 0.183 0.193
0.072 0.608 0.460
0.099 0.130 0.464
0.124 0.468 0.604
0.390 0.551 0.927
0.392 0.928 0.540
0.449 0.610 0.073
0.459 0.084 0.566
0.481 0.142 0.120
0.532 0.876 0.396
0.536 0.403 0.926
0.554 0.119 0.481
'''

Brief:
Copy every line further above that contains the word "Re".

Written answer:
Re O F
Re S O F